Humans have trod their path with the sacred: Religion is where humanity expresses its true nature

Associate Professor Tatsuo Murakami, a Religious Studies scholar in the Faculty of Liberal Arts, has a wide variety of interests including indigenous religions, postcolonialism, globalization, and religious violence. He describes Religious Studies as “a discipline to deepen our understanding of the human nature.” What exactly does he mean?

Few people would be able to answer what sort of discipline “Religious Studies” is if they are asked. Unlike Theology which focuses on the teachings of specific religious traditions, Religious Studies approaches religion in a much more broad and general way. In a nutshell, I would say Religious Studies is a discipline trying to grasp the essence of humanity through the examination of what we call “religion.”

One of my research interests is indigenous religions. Christianity, Islam, and Buddhism are the three major world religions today and Buddhism, the oldest of them, only dates back around the 5th century BCE. Long before that, people were engaged in local indigenous religious practices which were central to their communal life.

Many of these indigenous communities practiced animism and polytheism. Despite differences in geographical regions and historical periods, they share beliefs in the existence of non-human entities such as spirits, gods, or ancestors and construct their world through interactions and exchanges with these non-human agents.

Awe and reverence toward the non-human entities

My first research field was Haiti whose traditional religion is Vodoun. Although many Haitians identified themselves as “Christians”, their lifeway in the countryside was imbued with the presence of gods and spirits. They pray to the gods if they have problems, make offerings and hold rituals, gaining peace of mind and fulfillment in their daily lives.

My observation in Haiti reminded me of something quite familiar. Born and raised in Japan, I too witnessed similar scenes where people relied on gods and ancestors in time of need. The presence of gods and ancestors were felt all the time and acknowledged as something natural. Haiti and Japan were so far away from each other yet I felt an underlying connection between them. As I carried out my field research elsewhere, I also noticed similar familiarity in other parts of the world.

Beliefs and practices may differ from group to group, yet humans seem to have a similar experience of “the sacred” and this experience precedes the idea of “religion.” Our capacity to sense this otherness and imagine the world with it – this seems to be a unique characteristic of the human species.

We also know that religion sometimes enhances a destructive side of humanity and becomes seeds for conflicts and violence. Isn’t religion supposed to bring peace and harmony, and not war? By examining a close relationship between religion and violence, we are forced to confront an aspect of humanity which we often overlook.

It is my view that Religious Studies will not only provide us with knowledge about religion but also deepen our understanding on the complex nature of humanity.

Can we live as “humans,” solely relying on rationality and science?

As science and technology advance in the modern world, people rely more on scientific knowledge and technological utility to navigate their lives; some think that religion, gods, and spirits are no longer necessary. While understanding why some may feel so, I also think it is too hasty to exclude options that have helped humanity for such a long time. Rationality is ineffective, for example, when we face some devastating experiences such as major natural disasters, wars, facing the death of a loved one; at these times, people turned to religion as resources to come to term with chaos.

How important religion is for the human species?
Are we ready to redefine humanity by dispensing with religion?

Asking questions like these, I would like to invite students to engage in serious discussions regarding the current and future outlook of humanity.

The book I recommend

“The Sacred and the Profane: The Nature of Religion”
by Mircea Eliade, New York: Harvest Book

I first read this in my freshman year in college and was deeply affected. It argues that the sacred exists in this world, and from that is created order. Despite much criticism, I still recommend it to anyone who are interested in the nature of religion.

Tatsuo Murakami

  • Associate Professor
    Department of Liberal Arts
    Faculty of Liberal Arts

Graduated from Beloit College with a major in Philosophy and Religion, and received his M.A. in Religion from Syracuse University, and his Ph.D. in Religious Studies from University of California, Santa Barbara. After working as a lecturer in the Department of Comparative Culture at Sophia University, he assumed his current post in 2016.

What comes next are crystal structures, not part of the piece =
-- begin --
[1]
For BaNaAgSnTe4, the GGA-PBE geometry in OQMD gives the simulated powder diffractogram in this record (λ = 1.5418 Å (Cu Kα)).

Structural model:
a = 7.2126 Å, b = 7.2126 Å, c = 8.0544 Å
α = 123.93°, β = 123.93°, γ = 75.70°
Atoms (fractional coordinates):
Ba (0.0000, 0.0000, 0.0000)
Na (0.2507, 0.7493, 0.5000)
Ag (0.7493, 0.2507, 0.5000)
Sn (0.5000, 0.5000, 0.0000)
Te (0.1093, 0.4600, 0.9771)
Te (0.4828, 0.1323, 0.5923)
Te (0.5400, 0.8907, 0.0229)
Te (0.8677, 0.5172, 0.4077)

Largest 10 diffraction maxima, sorted by position, 2θ = 10–90°:
14.87 deg, 5.957 Å, I 22; 25.49 deg, 3.495 Å, I 100; 26.72 deg, 3.337 Å, I 40; 30.00 deg, 2.979 Å, I 32; 31.41 deg, 2.848 Å, I 57; 40.86 deg, 2.208 Å, I 17; 40.88 deg, 2.208 Å, I 39; 43.89 deg, 2.063 Å, I 17; 46.84 deg, 1.939 Å, I 19; 47.67 deg, 1.908 Å, I 21

---

[2]
For La2NdNiPt8, the GGA-PBE geometry in OQMD gives the simulated powder diffractogram in this record (λ = 1.5418 Å (Cu Kα)).

Structural model:
a = 9.3822 Å, b = 9.3822 Å, c = 9.3822 Å
α = 33.96°, β = 33.96°, γ = 33.96°
Atoms (fractional coordinates):
La (0.1399, 0.1399, 0.1399)
La (0.8601, 0.8601, 0.8601)
Nd (0.0000, 0.0000, 0.0000)
Ni (0.5000, 0.5000, 0.5000)
Pt (0.0864, 0.5865, 0.5865)
Pt (0.3325, 0.3325, 0.3325)
Pt (0.4135, 0.4135, 0.9136)
Pt (0.4135, 0.9136, 0.4135)
Pt (0.5865, 0.0864, 0.5865)
Pt (0.5865, 0.5865, 0.0864)
Pt (0.6675, 0.6675, 0.6675)
Pt (0.9136, 0.4135, 0.4135)

Largest 10 diffraction maxima, sorted by position, 2θ = 10–90°:
30.20 deg, 2.959 Å, I 17; 38.08 deg, 2.363 Å, I 46; 38.68 deg, 2.328 Å, I 100; 40.38 deg, 2.234 Å, I 28; 40.87 deg, 2.208 Å, I 29; 41.71 deg, 2.166 Å, I 51; 42.07 deg, 2.148 Å, I 18; 62.36 deg, 1.489 Å, I 25; 68.50 deg, 1.370 Å, I 31; 82.95 deg, 1.164 Å, I 23

---

[3]
For KPAu2O4, the GGA-PBE geometry in OQMD gives the simulated powder diffractogram in this record (λ = 1.5418 Å (Cu Kα)).

Structural model:
a = 7.2156 Å, b = 7.1884 Å, c = 9.0739 Å
α = 51.09°, β = 50.82°, γ = 78.09°
Atoms (fractional coordinates):
K (0.0000, 0.0000, 0.0000)
K (0.2500, 0.2500, 0.2500)
P (0.4998, 0.4998, 0.5002)
P (0.7498, 0.7498, 0.7502)
Au (0.1238, 0.6248, 0.8162)
Au (0.4338, 0.8148, 0.1262)
Au (0.6248, 0.1238, 0.4352)
Au (0.8148, 0.4338, 0.6252)
O (0.3377, 0.3889, 0.7768)
O (0.3889, 0.3377, 0.4966)
O (0.4732, 0.7534, 0.9123)
O (0.4967, 0.7766, 0.3383)
O (0.7534, 0.4732, 0.8611)
O (0.7766, 0.4967, 0.3884)
O (0.8616, 0.9117, 0.4734)
O (0.9117, 0.8616, 0.7533)

Largest 10 diffraction maxima, sorted by position, 2θ = 10–90°:
16.71 deg, 5.307 Å, I 22; 19.57 deg, 4.537 Å, I 56; 25.84 deg, 3.449 Å, I 48; 27.74 deg, 3.216 Å, I 27; 27.88 deg, 3.200 Å, I 27; 30.68 deg, 2.914 Å, I 100; 32.62 deg, 2.745 Å, I 28; 41.88 deg, 2.157 Å, I 42; 43.38 deg, 2.086 Å, I 25; 60.14 deg, 1.539 Å, I 16

---

[4]
For Lu4Sc2P3N3, the GGA-PBE geometry in OQMD gives the simulated powder diffractogram in this record (λ = 1.5418 Å (Cu Kα)).

Structural model:
a = 6.0989 Å, b = 6.0989 Å, c = 12.6487 Å
α = 103.92°, β = 103.92°, γ = 60.00°
-- stop --
End of the crystal structures =

Department of Liberal Arts

Interviewed: July 2022

Sophia University

For Others, With Others